5 Pre-packaged Snacks for Diabetics

5 Pre-packaged Snacks for Diabetics

Diabetes is a metabolic condition of the body characterized by the spike in sugar levels in your blood, mostly as a result of improper functioning of the hormone insulin. Diabetic patients have a lot taken from them when they are told that they cannot eat delicious sugary foods or yummy snacks throughout the day. Fortunately, by measuring the right amounts of the right contents, there exist a few snacks that may not only treat your taste buds but may also prove beneficial to your condition.

Here are a few pre-packaged snacks for diabetic patients:


  • Yogurt can be an extremely healthy snack for people with diabetes, as it is packed with probiotics.
  • Probiotics can help lower blood sugar levels as they improve the body’s ability to metabolize food items containing sugar.
  • Yogurt is also rich in protein, which can help balance blood sugar levels.
  • You can add a few berries to yogurt to obtain additional nutrients and add sweetness to the yogurt’s tartness.

Whole-grain crackers with cheese

  • If you have diabetes, there is nothing better to snack on than a food product made of whole grains.
  • To add some flavor and taste to your snack, you can add some cheese to your crackers.
  • The fat in the cheese combined with the fiber in the whole grain crackers prevents the carbs in the crackers from spiking your blood sugar.
  • Cheese can also slow the digestion of carbs, promote the release of hormones that lower blood sugar and reduce high amounts of insulin in the blood.


  • Popcorn is an extremely popular snack that is, fortunately, still available in the diabetic snack radar.
  • Popcorn is a diabetic-friendly snack because it contains whole grains and low calories.
  • Snacking on popcorn can keep your weight in check, which can promote decreased levels of sugar in your blood.
  • Popcorn can be of great help to manage type 2 diabetes.
  • Another reason why popcorn can be great for diabetic patients is because of the high fiber content it possesses.
  • Check the ingredients list on the cover of the popcorn and go for a brand that adds the least amount of salt, trans fats, and other unhealthy ingredients.

Trail mix

  • Trail mix is a snack made by combining dried fruits, nuts, and seeds.
  • This healthy combination can leave patients with diabetes extremely satisfied with their snacking.
  • Trail mix contains a lot of protein, healthy fats, and fiber, which are all the right nutrients for diabetic patients.
  • However, it is quite high in calories, so avoid taking too much at a go and limit yourself to a handful of the mix per day.
  • The healthy fats and fiber from the nuts and seeds can regulate insulin levels and control blood sugar levels.

Next to the piece, the page also holds data records.
# MgTaCuBi

A relaxed MgTaCuBi crystal (PBE, OQMD via LeMat-Bulk).

Calculated values
Space group = No. 216
Energy above the most stable polymorph in this dataset = 78.9 meV/atom

abc: 4.8399 4.8399 4.8399
angles: 60.00 60.00 60.00
Sites, in units of the cell vectors:
1 Mg 0.0000 0.0000 0.0000
2 Ta 0.7500 0.7500 0.7500
3 Cu 0.5000 0.5000 0.5000
4 Bi 0.2500 0.2500 0.2500

# MgCuTcBi

A relaxed MgCuTcBi crystal (PBE, OQMD via LeMat-Bulk).

Calculated values
Space group = No. 216
Energy above the most stable polymorph in this dataset = 0.0 meV/atom

abc: 4.6505 4.6505 4.6505
angles: 60.00 60.00 60.00
Sites, in units of the cell vectors:
1 Mg 0.0000 0.0000 0.0000
2 Cu 0.2500 0.2500 0.2500
3 Tc 0.7500 0.7500 0.7500
4 Bi 0.5000 0.5000 0.5000

# MgZnCuBi

A relaxed MgZnCuBi crystal (PBE, OQMD via LeMat-Bulk).

Calculated values
Space group = No. 216
Energy above the most stable polymorph in this dataset = 0.0 meV/atom

abc: 4.8451 4.8451 4.8451
angles: 60.00 60.00 60.00
Sites, in units of the cell vectors:
1 Mg 0.0000 0.0000 0.0000
2 Zn 0.7500 0.7500 0.7500
3 Cu 0.2500 0.2500 0.2500
4 Bi 0.5000 0.5000 0.5000

=====

[1]
This record from the Alexandria database describes a geometry-optimized Sm2PuThSb4 structure. The functional is PBE.

Results
final energy: -55.60 eV per cell

Lattice parameters (Å, degrees): 7.748 4.478 7.749 90.00 109.48 90.00
Atoms (fractional coordinates):
Sm 0.000 0.000 0.000
Sm 0.500 0.500 0.000
Pu 0.000 0.500 0.500
Th 0.500 0.000 0.500
Sb 0.247 0.000 0.748
Sb 0.248 0.500 0.249
Sb 0.752 0.500 0.751
Sb 0.753 0.000 0.252

---

[2]
This record from the Alexandria database describes a geometry-optimized SmTm2PuSb4 structure. The functional is PBE.

Results
final energy: -52.23 eV per cell

Lattice parameters (Å, degrees): 7.596 4.403 7.613 90.00 109.51 90.00
Atoms (fractional coordinates):
Sm 0.000 0.000 0.000
Tm 0.500 0.000 0.500
Tm 0.500 0.500 0.000
Pu 0.000 0.500 0.500
Sb 0.256 0.000 0.750
Sb 0.258 0.500 0.254
Sb 0.742 0.500 0.746
Sb 0.744 0.000 0.250

---

[3]
This record from the Alexandria database describes a geometry-optimized Sm2PuUSb4 structure. The functional is PBE.

Results
final energy: -57.84 eV per cell

Lattice parameters (Å, degrees): 7.641 4.415 7.749 90.00 109.18 90.00
Atoms (fractional coordinates):
Sm 0.000 0.000 0.000
Sm 0.500 0.500 0.000
Pu 0.000 0.500 0.500
U 0.500 0.000 0.500
Sb 0.251 0.000 0.745
Sb 0.254 0.500 0.255
Sb 0.746 0.500 0.745
Sb 0.749 0.000 0.255

---

[4]
This record from the Alexandria database describes a geometry-optimized SmPu2USb4 structure. The functional is PBE.

Results
final energy: -66.14 eV per cell

Lattice parameters (Å, degrees): 7.661 7.661 7.661 131.83 131.83 70.50
Atoms (fractional coordinates):
Sm 0.000 0.000 0.000
Pu 0.500 0.500 0.000
Pu 0.750 0.250 0.500
U 0.250 0.750 0.500
Sb 0.003 0.503 0.500
Sb 0.251 0.251 0.000
Sb 0.497 0.997 0.500
Sb 0.749 0.749 0.000

---

[5]

Organic beet chips

  • One of the things that most diabetic patients miss is chips.
  • Consider your worries conquered as organic beetroot chips can just as easily replace them.
  • Additionally, they provide more health benefits due to the nutritional content in beetroots.
  • Beet chips contain fiber and iron, which are essential for diabetic patients.
  • As a bonus, beet chips do not leave your hands all red and sticky as they are made dry.